Entries:
- - -
Starting from a GGA-PBE-relaxed structure, the powder X-ray diffraction pattern of BaTaGaB2 was calculated for Cu Kα (weighted mean of Kα1 and Kα2).
Lines closer than 0.1° are merged.

Main lines, by intensity (15 to 90 degrees two-theta):
| Position (°2θ) | d [Å] | I (rel.) | hkl |
| --- | --- | --- | --- |
| 27.69 | 3.221 | 100 | 1 1 0 |
| 26.39 | 3.377 | 94 | 1 0 1 |
| 45.76 | 1.983 | 52 | 1 1 2 |
| 39.57 | 2.278 | 46 | 2 0 0 |
| 48.19 | 1.888 | 37 | 2 1 1 |
| 54.33 | 1.689 | 36 | 2 0 2 |
| 35.68 | 2.516 | 31 | 0 0 2 |
| 19.49 | 4.556 | 25 | 1 0 0 |
| 76.14 | 1.250 | 23 | 3 1 2 |
| 64.71 | 1.441 | 19 | 3 1 0 |

Structural model:
a = 4.5555 Å, b = 4.5555 Å, c = 5.0326 Å
α = 90.00°, β = 90.00°, γ = 90.00°
Space group P4/mmm (No. 123)
Inequivalent atoms, fractional coordinates:
Ba (0.0000, 0.0000, 0.0000) (multiplicity 1)
Ta (0.5000, 0.5000, 0.5000) (multiplicity 1)
Ga (0.5000, 0.5000, 0.0000) (multiplicity 1)
B (0.0000, 0.5000, 0.5000) (multiplicity 2)

---

Starting from a GGA-PBE-relaxed structure, the powder X-ray diffraction pattern of BaB2H was calculated for Cu Kα (weighted mean of Kα1 and Kα2).
Lines closer than 0.1° are merged.

Main lines, by intensity (15 to 90 degrees two-theta):
| Position (°2θ) | d [Å] | I (rel.) | hkl |
| --- | --- | --- | --- |
| 16.26 | 5.451 | 100 | 0 0 4 |
| 29.20 | 3.058 | 78 | 1 0 3 |
| 26.76 | 3.332 | 66 | 1 0 1 |
| 38.66 | 2.329 | 64 | 1 1 2 |
| 33.60 | 2.667 | 53 | 1 0 5 |
| 57.23 | 1.610 | 40 | 2 0 4 |
| 45.51 | 1.993 | 40 | 1 1 6 |
| 32.86 | 2.726 | 32 | 0 0 8 |
| 39.38 | 2.288 | 24 | 1 0 7 |
| 61.67 | 1.504 | 18 | 2 1 1 |

Structural model:
a = 3.3713 Å, b = 3.3713 Å, c = 21.8046 Å
α = 90.00°, β = 90.00°, γ = 90.00°
Space group I4_1/amd (No. 141, origin choice 2)
Inequivalent atoms, fractional coordinates:
Ba (0.0000, 0.2500, 0.3750) (multiplicity 4)
B (0.0000, 0.0000, 0.0000) (multiplicity 8)
H (0.0000, 0.2500, 0.8750) (multiplicity 4)

---

Starting from a GGA-PBE-relaxed structure, the powder X-ray diffraction pattern of BaBH4 was calculated for Cu Kα (weighted mean of Kα1 and Kα2).
Lines closer than 0.1° are merged.

Main lines, by intensity (15 to 90 degrees two-theta):
| Position (°2θ) | d [Å] | I (rel.) | hkl |
| --- | --- | --- | --- |
| 23.42 | 3.798 | 100 | 0 1 1 |
| 27.55 | 3.238 | 92 | 1 1 0 |
| 22.84 | 3.894 | 49 | 1 0 -1 |
| 28.09 | 3.177 | 42 | 0 0 2 |
| 26.02 | 3.425 | 39 | 1 0 1 |
| 37.64 | 2.389 | 36 | 1 1 -2 |
| 41.76 | 2.163 | 28 | 1 1 2 |
| 44.80 | 2.023 | 28 | 1 2 -1 |
| 46.63 | 1.948 | 26 | 2 0 -2 |
| 47.90 | 1.899 | 19 | 0 2 2 |

Structural model:
a = 4.4774 Å, b = 4.7382 Å, c = 6.4132 Å
α = 90.00°, β = 97.82°, γ = 90.00°
Space group P2_1/m (No. 11)
Inequivalent atoms, fractional coordinates:
Ba (0.2305, 0.2500, 0.2613) (multiplicity 2)
B (0.3126, 0.2500, 0.7957) (multiplicity 2)
H (0.0627, 0.2500, 0.8599) (multiplicity 2)
H (0.2899, 0.0435, 0.6654) (multiplicity 4)
H (0.5000, 0.0000, 0.0000) (multiplicity 2)

---

Starting from a GGA-PBE-relaxed structure, the powder X-ray diffraction pattern of Ba2Na2B10H2O19 was calculated for Cu Kα (weighted mean of Kα1 and Kα2).
Lines closer than 0.1° are merged.

Main lines, by intensity (15 to 90 degrees two-theta):
| Position (°2θ) | d [Å] | I (rel.) | hkl |
| --- | --- | --- | --- |
| 24.70 | 3.605 | 100 | 1 1 2 |
| 26.59 | 3.352 | 89 | 3 1 0 |
| 30.62 | 2.920 | 65 | 2 2 0 |
| 18.14 | 4.890 | 58 | 1 1 1 |
| 31.98 | 2.798 | 55 | 1 1 -3 |
| 40.98 | 2.202 | 52 | 1 1 -4 |
| 28.76 | 3.104 | 50 | 3 1 1 |
| 32.91 | 2.722 | 45 | 4 0 1 |
| 26.36 | 3.381 | 43 | 0 2 0 |
| 23.93 | 3.719 | 43 | 1 1 -2 |

Structural model:
a = 11.6040 Å, b = 6.7618 Å, c = 9.4158 Å
α = 90.00°, β = 93.64°, γ = 90.00°
Space group C2 (No. 5)
Inequivalent atoms, fractional coordinates:
Ba (0.1688, 0.0000, 0.3927) (multiplicity 4)
Na (0.0000, 0.1935, 0.0000) (multiplicity 2)
Na (0.0000, 0.7068, 0.0000) (multiplicity 2)
B (0.0322, 0.6679, 0.6746) (multiplicity 4)
B (0.0503, 0.3033, 0.6374) (multiplicity 4)
B (0.1190, 0.4388, 0.2307) (multiplicity 4)
- - -
Activity:
Restate the whole of the block further up without altering anything.
Completed:
Starting from a GGA-PBE-relaxed structure, the powder X-ray diffraction pattern of BaTaGaB2 was calculated for Cu Kα (weighted mean of Kα1 and Kα2).
Lines closer than 0.1° are merged.

Main lines, by intensity (15 to 90 degrees two-theta):
| Position (°2θ) | d [Å] | I (rel.) | hkl |
| --- | --- | --- | --- |
| 27.69 | 3.221 | 100 | 1 1 0 |
| 26.39 | 3.377 | 94 | 1 0 1 |
| 45.76 | 1.983 | 52 | 1 1 2 |
| 39.57 | 2.278 | 46 | 2 0 0 |
| 48.19 | 1.888 | 37 | 2 1 1 |
| 54.33 | 1.689 | 36 | 2 0 2 |
| 35.68 | 2.516 | 31 | 0 0 2 |
| 19.49 | 4.556 | 25 | 1 0 0 |
| 76.14 | 1.250 | 23 | 3 1 2 |
| 64.71 | 1.441 | 19 | 3 1 0 |

Structural model:
a = 4.5555 Å, b = 4.5555 Å, c = 5.0326 Å
α = 90.00°, β = 90.00°, γ = 90.00°
Space group P4/mmm (No. 123)
Inequivalent atoms, fractional coordinates:
Ba (0.0000, 0.0000, 0.0000) (multiplicity 1)
Ta (0.5000, 0.5000, 0.5000) (multiplicity 1)
Ga (0.5000, 0.5000, 0.0000) (multiplicity 1)
B (0.0000, 0.5000, 0.5000) (multiplicity 2)

---

Starting from a GGA-PBE-relaxed structure, the powder X-ray diffraction pattern of BaB2H was calculated for Cu Kα (weighted mean of Kα1 and Kα2).
Lines closer than 0.1° are merged.

Main lines, by intensity (15 to 90 degrees two-theta):
| Position (°2θ) | d [Å] | I (rel.) | hkl |
| --- | --- | --- | --- |
| 16.26 | 5.451 | 100 | 0 0 4 |
| 29.20 | 3.058 | 78 | 1 0 3 |
| 26.76 | 3.332 | 66 | 1 0 1 |
| 38.66 | 2.329 | 64 | 1 1 2 |
| 33.60 | 2.667 | 53 | 1 0 5 |
| 57.23 | 1.610 | 40 | 2 0 4 |
| 45.51 | 1.993 | 40 | 1 1 6 |
| 32.86 | 2.726 | 32 | 0 0 8 |
| 39.38 | 2.288 | 24 | 1 0 7 |
| 61.67 | 1.504 | 18 | 2 1 1 |

Structural model:
a = 3.3713 Å, b = 3.3713 Å, c = 21.8046 Å
α = 90.00°, β = 90.00°, γ = 90.00°
Space group I4_1/amd (No. 141, origin choice 2)
Inequivalent atoms, fractional coordinates:
Ba (0.0000, 0.2500, 0.3750) (multiplicity 4)
B (0.0000, 0.0000, 0.0000) (multiplicity 8)
H (0.0000, 0.2500, 0.8750) (multiplicity 4)

---

Starting from a GGA-PBE-relaxed structure, the powder X-ray diffraction pattern of BaBH4 was calculated for Cu Kα (weighted mean of Kα1 and Kα2).
Lines closer than 0.1° are merged.

Main lines, by intensity (15 to 90 degrees two-theta):
| Position (°2θ) | d [Å] | I (rel.) | hkl |
| --- | --- | --- | --- |
| 23.42 | 3.798 | 100 | 0 1 1 |
| 27.55 | 3.238 | 92 | 1 1 0 |
| 22.84 | 3.894 | 49 | 1 0 -1 |
| 28.09 | 3.177 | 42 | 0 0 2 |
| 26.02 | 3.425 | 39 | 1 0 1 |
| 37.64 | 2.389 | 36 | 1 1 -2 |
| 41.76 | 2.163 | 28 | 1 1 2 |
| 44.80 | 2.023 | 28 | 1 2 -1 |
| 46.63 | 1.948 | 26 | 2 0 -2 |
| 47.90 | 1.899 | 19 | 0 2 2 |

Structural model:
a = 4.4774 Å, b = 4.7382 Å, c = 6.4132 Å
α = 90.00°, β = 97.82°, γ = 90.00°
Space group P2_1/m (No. 11)
Inequivalent atoms, fractional coordinates:
Ba (0.2305, 0.2500, 0.2613) (multiplicity 2)
B (0.3126, 0.2500, 0.7957) (multiplicity 2)
H (0.0627, 0.2500, 0.8599) (multiplicity 2)
H (0.2899, 0.0435, 0.6654) (multiplicity 4)
H (0.5000, 0.0000, 0.0000) (multiplicity 2)

---

Starting from a GGA-PBE-relaxed structure, the powder X-ray diffraction pattern of Ba2Na2B10H2O19 was calculated for Cu Kα (weighted mean of Kα1 and Kα2).
Lines closer than 0.1° are merged.

Main lines, by intensity (15 to 90 degrees two-theta):
| Position (°2θ) | d [Å] | I (rel.) | hkl |
| --- | --- | --- | --- |
| 24.70 | 3.605 | 100 | 1 1 2 |
| 26.59 | 3.352 | 89 | 3 1 0 |
| 30.62 | 2.920 | 65 | 2 2 0 |
| 18.14 | 4.890 | 58 | 1 1 1 |
| 31.98 | 2.798 | 55 | 1 1 -3 |
| 40.98 | 2.202 | 52 | 1 1 -4 |
| 28.76 | 3.104 | 50 | 3 1 1 |
| 32.91 | 2.722 | 45 | 4 0 1 |
| 26.36 | 3.381 | 43 | 0 2 0 |
| 23.93 | 3.719 | 43 | 1 1 -2 |

Structural model:
a = 11.6040 Å, b = 6.7618 Å, c = 9.4158 Å
α = 90.00°, β = 93.64°, γ = 90.00°
Space group C2 (No. 5)
Inequivalent atoms, fractional coordinates:
Ba (0.1688, 0.0000, 0.3927) (multiplicity 4)
Na (0.0000, 0.1935, 0.0000) (multiplicity 2)
Na (0.0000, 0.7068, 0.0000) (multiplicity 2)
B (0.0322, 0.6679, 0.6746) (multiplicity 4)
B (0.0503, 0.3033, 0.6374) (multiplicity 4)
B (0.1190, 0.4388, 0.2307) (multiplicity 4)